In the May installment, I made reference to 20 Pa. C. S. Chapter 35, Section 3546, the mandated judicial proceeding (outside of an administered estate) to determine heirship in Pennsylvania. In the absence of an administered estate in Pennsylvania, record title does not move forward in the chain until and how a Court says that it does.
On July 8, the Governor signed into law a bill amending section 3546. While these amendments are aimed primarily at clarifying the existing law, the amended Section does mandate certain additional steps in the process, including additional advertising and the filing of a notice of lis pendens before any Order can be entered. Please note that we have recommended use of this section when you are seeking marketable (as opposed to defensible) title. Please contact us with any questions.
And now back to our regularly scheduled article.
Curative Recommendations
As previously discussed, a title opinion sets forth ownership of a tract subject to (a) general limitations, (b) general title defects, and (c) specific title defects. General limitations protect the author against matters outside the public record and defects in the materials examined that form the basis for the opinion. General title defects set forth agreed-upon assumptions regarding commonplace defects and potential defects. Specific defects are those specific to the tract examined that are sufficiently significant or recent to merit a recommended course of action to cure.
Over nearly 50 years, our Mineral Practice group has developed guidelines regarding curative recommendations offered in response to specific title defects. These guidelines have evolved over time based on the following principles:
Never “require” anything. The purpose of a title opinion, ultimately, is to avoid an accusation of intentional trespass or bad faith trespass. If we require you to take a specific course of action to cure a title defect and you choose not to, you’ve just admitted to either intentional trespass or bad faith trespass. If we recommend that you to take a specific course of action to cure a title defect and you choose not to, it’s because you made a business decision to assume the risk, but you still have defensible title.
Reach a clear understanding what can be considered a general title defect. General title defects are agreed-upon assumptions regarding commonplace defects and potential defects. When we begin working with a new client, we try to establish, within that client’s level of comfort, a clear understanding of the defects we can ignore. For example, no sane person wants to consider whether to file an affidavit of death for someone who only had a life estate and was married in 1870. A curative recommendation of this sort is a waste of time both for the attorney and, more importantly, the client. If we can work with the new client to determine what we need to mention and what is, for all intents and purposes, irrelevant to the process, the result is a more streamlined and functional work product.
┌──
C10H30BN2O6V as an isolated structure. Source: the OMol25 dataset; level of theory: the ωB97M-V functional and the def2-TZVPD basis.

Summary:
net charge	-2
total energy	-52481.1110	eV
HOMO	0.7	eV
gap between HOMO and LUMO	0.121	hartree

```
50
C10H30BN2O6V the ωB97M-V functional and the def2-TZVPD basis
O -1.077 12.780 -31.751
V -2.631 12.643 -31.298
O -3.361 14.003 -31.088
O -3.651 7.871 -30.200
C -2.555 8.541 -30.691
C -2.312 9.976 -30.107
O -3.405 10.891 -30.184
H -2.641 8.647 -31.786
H -1.610 8.007 -30.454
H -1.492 10.415 -30.703
H -1.927 9.929 -29.072
B -3.911 11.976 -33.385
H -3.281 12.928 -33.296
H -3.221 11.095 -33.087
H -4.694 11.943 -32.534
H -4.404 11.854 -34.415
C 0.958 12.935 -28.647
C -0.349 13.475 -27.988
C -0.192 14.965 -27.797
O -1.367 15.511 -27.228
C -1.148 16.796 -26.741
N -1.505 13.043 -28.781
H 1.862 13.019 -28.038
H 1.197 13.397 -29.606
H 0.847 11.869 -28.855
H -0.481 12.932 -27.045
H 0.127 15.492 -28.704
H 0.686 15.083 -27.145
H -0.422 16.796 -25.913
H -2.033 17.112 -26.177
H -0.888 17.629 -27.400
H -2.320 13.365 -28.266
H -1.508 12.026 -28.722
C -6.440 15.531 -29.344
C -5.732 16.811 -28.943
C -4.729 16.588 -27.804
O -5.384 15.974 -26.702
C -4.498 15.671 -25.633
└──
**End of the data records**
Keep it simple. The general structure of a curative recommendation title is to re-state the facts, identify the problem and make alternate recommendations of different levels of caution for the client to select. A client does not want to have to re-read the opinion to understand the problem and assess the risk. We strive for curative recommendations that explain the problem and the solutions as simply as possible. Our position on this is that if we can’t explain the problem plainly and simply, we don’t understand the problem well enough to make recommendations.
Make sure your law is up to date. This one is obvious, but we wouldn’t want you to think it wasn’t one of our guidelines.